____________
Record 1
{
  "formula": "C17H15F4N5O3",
  "method": "ωB97M-V/def2-TZVPD",
  "symbols": ["N", "O", "O", "O", "F", "F", "F", "F", "N", "N", "C", "C", "C", "C", "C", "C", "C", "C", "C", "C", "C", "N", "N", "C", "C", "C", "C", "C", "C", "H", "H", "H", "H", "H", "H", "H", "H", "H", "H", "H", "H", "H", "H", "H"],
  "xyz": [[6.562, 1.847, -5.773], [-0.997, -4.584, 3.458], [-1.619, -0.811, 5.799], [-2.353, 1.374, -1.600], [4.156, 4.085, -1.902], [3.625, 2.039, -6.268], [1.529, 3.449, -1.326], [1.144, 1.341, -5.657], [5.334, 3.391, -4.228], [5.995, 2.613, -5.013], [-0.848, -3.706, 4.253], [-1.056, -1.812, 5.357], [-1.358, 0.627, -1.562], [0.326, -3.598, 5.047], [0.224, -2.381, 5.729], [3.397, 3.431, -2.823], [3.164, 2.390, -5.047], [2.060, 3.129, -2.554], [1.841, 2.032, -4.711], [3.965, 3.070, -4.070], [1.272, 2.451, -3.504], [-0.304, 0.838, -2.440], [-1.687, -2.628, 4.431], [-0.190, 2.069, -3.225], [-1.258, -0.570, -0.610], [-2.980, -2.435, 3.865], [-2.119, -0.404, 0.670], [-2.959, -1.266, 2.838], [-2.029, -1.594, 1.643], [1.125, -4.325, 5.099], [0.958, -1.959, 6.399], [0.463, 0.179, -2.388], [-0.732, 2.904, -2.741], [-0.725, 1.914, -4.154], [-1.577, -1.466, -1.158], [-0.213, -0.640, -0.310], [-3.358, -3.336, 3.380], [-3.707, -2.219, 4.634], [-1.874, 0.508, 1.179], [-3.165, -0.324, 0.330], [-2.709, -0.331, 3.365], [-3.987, -1.103, 2.456], [-2.348, -2.503, 1.140], [-0.988, -1.684, 1.991]],
  "de_lowest_kcal_mol": 2.83,
  "e_lumo_ev": -1.0,
  "homo_energy_ev": -9.4,
  "orbital_gap_ev": 8.41
}


Record 2
{
  "formula": "C17H15FN2O",
  "method": "ωB97M-V/def2-TZVPD",
  "symbols": ["C", "C", "C", "N", "N", "C", "O", "C", "C", "C", "C", "C", "C", "F", "C", "C", "C", "C", "C", "C", "C", "H", "H", "H", "H", "H", "H", "H", "H", "H", "H", "H", "H", "H", "H", "H"],
  "xyz": [[-0.572, -0.653, 0.045], [-0.912, 0.799, -0.097], [0.202, 1.704, -0.249], [1.400, 1.270, -0.250], [2.420, 2.120, -0.411], [3.730, 1.726, -0.375], [4.624, 2.532, -0.493], [3.928, 0.256, -0.202], [3.375, -0.657, -1.093], [3.603, -2.012, -0.943], [4.384, -2.478, 0.103], [4.940, -1.587, 1.004], [4.710, -0.233, 0.838], [5.231, 0.620, 1.737], [-2.158, 1.313, -0.056], [-3.419, 0.601, 0.079], [-4.452, 1.199, 0.805], [-5.666, 0.563, 0.969], [-5.885, -0.676, 0.388], [-4.882, -1.266, -0.363], [-3.661, -0.638, -0.517], [0.380, -0.746, 0.561], [-0.456, -1.114, -0.935], [-1.345, -1.182, 0.596], [-0.022, 2.771, -0.372], [2.244, 3.124, -0.522], [2.769, -0.295, -1.909], [3.170, -2.709, -1.644], [4.561, -3.536, 0.220], [5.547, -1.923, 1.829], [-2.258, 2.392, -0.081], [-4.286, 2.167, 1.259], [-6.448, 1.036, 1.545], [-6.836, -1.173, 0.511], [-5.055, -2.222, -0.837], [-2.904, -1.091, -1.138]],
  "de_lowest_kcal_mol": 14.82,
  "e_lumo_ev": 0.1,
  "smiles": "CC(/C=N/NC(=O)c1ccccc1F)=C\\c1ccccc1",
  "homo_energy_ev": -8.3,
  "orbital_gap_ev": 8.35
}


Record 3
{
  "formula": "C17H15I3N4O4V",
  "method": "ωB97M-V/def2-TZVPD",
  "symbols": ["V", "C", "C", "N", "O", "C", "C", "N", "O", "H", "H", "H", "H", "H", "H", "H", "I", "C", "C", "C", "C", "C", "C", "C", "O", "O", "H", "H", "H", "H", "N", "C", "C", "C", "C", "C", "N", "C", "H", "H", "H", "H", "I", "I"],
____________
Reproduce the whole of the contents earlier on without additions.
Record 1
{
  "formula": "C17H15F4N5O3",
  "method": "ωB97M-V/def2-TZVPD",
  "symbols": ["N", "O", "O", "O", "F", "F", "F", "F", "N", "N", "C", "C", "C", "C", "C", "C", "C", "C", "C", "C", "C", "N", "N", "C", "C", "C", "C", "C", "C", "H", "H", "H", "H", "H", "H", "H", "H", "H", "H", "H", "H", "H", "H", "H"],
  "xyz": [[6.562, 1.847, -5.773], [-0.997, -4.584, 3.458], [-1.619, -0.811, 5.799], [-2.353, 1.374, -1.600], [4.156, 4.085, -1.902], [3.625, 2.039, -6.268], [1.529, 3.449, -1.326], [1.144, 1.341, -5.657], [5.334, 3.391, -4.228], [5.995, 2.613, -5.013], [-0.848, -3.706, 4.253], [-1.056, -1.812, 5.357], [-1.358, 0.627, -1.562], [0.326, -3.598, 5.047], [0.224, -2.381, 5.729], [3.397, 3.431, -2.823], [3.164, 2.390, -5.047], [2.060, 3.129, -2.554], [1.841, 2.032, -4.711], [3.965, 3.070, -4.070], [1.272, 2.451, -3.504], [-0.304, 0.838, -2.440], [-1.687, -2.628, 4.431], [-0.190, 2.069, -3.225], [-1.258, -0.570, -0.610], [-2.980, -2.435, 3.865], [-2.119, -0.404, 0.670], [-2.959, -1.266, 2.838], [-2.029, -1.594, 1.643], [1.125, -4.325, 5.099], [0.958, -1.959, 6.399], [0.463, 0.179, -2.388], [-0.732, 2.904, -2.741], [-0.725, 1.914, -4.154], [-1.577, -1.466, -1.158], [-0.213, -0.640, -0.310], [-3.358, -3.336, 3.380], [-3.707, -2.219, 4.634], [-1.874, 0.508, 1.179], [-3.165, -0.324, 0.330], [-2.709, -0.331, 3.365], [-3.987, -1.103, 2.456], [-2.348, -2.503, 1.140], [-0.988, -1.684, 1.991]],
  "de_lowest_kcal_mol": 2.83,
  "e_lumo_ev": -1.0,
  "homo_energy_ev": -9.4,
  "orbital_gap_ev": 8.41
}


Record 2
{
  "formula": "C17H15FN2O",
  "method": "ωB97M-V/def2-TZVPD",
  "symbols": ["C", "C", "C", "N", "N", "C", "O", "C", "C", "C", "C", "C", "C", "F", "C", "C", "C", "C", "C", "C", "C", "H", "H", "H", "H", "H", "H", "H", "H", "H", "H", "H", "H", "H", "H", "H"],
  "xyz": [[-0.572, -0.653, 0.045], [-0.912, 0.799, -0.097], [0.202, 1.704, -0.249], [1.400, 1.270, -0.250], [2.420, 2.120, -0.411], [3.730, 1.726, -0.375], [4.624, 2.532, -0.493], [3.928, 0.256, -0.202], [3.375, -0.657, -1.093], [3.603, -2.012, -0.943], [4.384, -2.478, 0.103], [4.940, -1.587, 1.004], [4.710, -0.233, 0.838], [5.231, 0.620, 1.737], [-2.158, 1.313, -0.056], [-3.419, 0.601, 0.079], [-4.452, 1.199, 0.805], [-5.666, 0.563, 0.969], [-5.885, -0.676, 0.388], [-4.882, -1.266, -0.363], [-3.661, -0.638, -0.517], [0.380, -0.746, 0.561], [-0.456, -1.114, -0.935], [-1.345, -1.182, 0.596], [-0.022, 2.771, -0.372], [2.244, 3.124, -0.522], [2.769, -0.295, -1.909], [3.170, -2.709, -1.644], [4.561, -3.536, 0.220], [5.547, -1.923, 1.829], [-2.258, 2.392, -0.081], [-4.286, 2.167, 1.259], [-6.448, 1.036, 1.545], [-6.836, -1.173, 0.511], [-5.055, -2.222, -0.837], [-2.904, -1.091, -1.138]],
  "de_lowest_kcal_mol": 14.82,
  "e_lumo_ev": 0.1,
  "smiles": "CC(/C=N/NC(=O)c1ccccc1F)=C\\c1ccccc1",
  "homo_energy_ev": -8.3,
  "orbital_gap_ev": 8.35
}


Record 3
{
  "formula": "C17H15I3N4O4V",
  "method": "ωB97M-V/def2-TZVPD",
  "symbols": ["V", "C", "C", "N", "O", "C", "C", "N", "O", "H", "H", "H", "H", "H", "H", "H", "I", "C", "C", "C", "C", "C", "C", "C", "O", "O", "H", "H", "H", "H", "N", "C", "C", "C", "C", "C", "N", "C", "H", "H", "H", "H", "I", "I"],